• What to do:
Transcribe the lines further below up to the one that holds "0.033 -0.238", that line included.

• Entries:
-- begin --
This record from the Open Molecules 2025 dataset describes C13H15BCuF4N7PS as an isolated structure in a non-equilibrium geometry. The level of theory is ωB97M-V with the def2-TZVPD basis set.

The frontier orbital gap comes out at 6.9 eV. As for the total energy: -100474.34359 eV. As for the net charge: -1.

Last column: natural (NBO) charge in e.
Positions of all 43 atoms, in Å:
Cu1 1.4360 -0.6803 -1.6006  0.92
C1 -3.0744 2.0677 -0.4692  -0.41
N1 -1.7527 1.9952 -1.0316  -0.33
C2 -1.4036 2.4364 -2.2771  -0.08
C3 -0.1182 1.9889 -2.5185  -0.06
N2 0.3211 1.2630 -1.4344  -0.51
C4 -0.6780 1.2628 -0.5647  0.06
P1 -0.7367 0.4003 1.0111  0.73
C5 0.9256 0.6139 1.5834  0.03
N3 2.0550 0.3875 0.9524  -0.41
C6 3.0530 0.7824 1.7986  -0.07
C7 2.5024 1.2588 2.9729  -0.11
N4 1.1343 1.1303 2.8150  -0.34
C8 0.0519 1.5916 3.6441  -0.40
C9 -0.6432 -1.3090 0.4803  0.06
N5 0.2895 -1.8994 -0.2119  -0.51
C10 -0.1309 -3.2021 -0.3925  -0.06
C11 -1.3247 -3.3771 0.2630  -0.08
N6 -1.6499 -2.2025 0.8421  -0.34
C12 -2.9701 -1.8090 1.2925  -0.42
H1 -3.4316 3.1038 -0.5111  0.20
H2 -3.7350 1.4218 -1.0496  0.23
H3 -3.0543 1.6908 0.5647  0.22
H4 -2.1068 2.9757 -2.8892  0.22
H5 0.5040 2.0626 -3.4135  0.23
H6 4.0746 0.6074 1.5475  0.23
H7 2.9323 1.6059 3.9014  0.21
H8 0.4519 1.7468 4.6700  0.21
H9 -0.3845 2.5148 3.2834  0.20
H10 -0.7443 0.8286 3.6703  0.22
H11 0.4110 -3.8869 -1.0319  0.23
H12 -1.9993 -4.2055 0.2805  0.21
H13 -3.4483 -2.6557 1.8278  0.21
H14 -2.8447 -0.9023 1.9399  0.22
H15 -3.5642 -1.5628 0.3771  0.24
F1 4.7679 -1.9769 -3.2734  -0.57
B1 4.8955 -0.8787 -2.4034  1.37
F2 5.9248 -1.1407 -1.4752  -0.58
F3 5.0774 0.3442 -3.0633  -0.57
F4 3.6410 -0.7240 -1.6256  -0.62
S1 -3.0445 -1.1476 -2.6088  -0.45
C13 -1.3880 -1.2218 -2.8664  0.12
N7 -0.2216 -1.2988 -3.0058  -0.62

Atomic forces in eV per Å
0.000 0.031 0.015
-0.330 -0.048 0.189
1.175 -0.470 -0.158
0.596 -0.199 -0.200
-0.242 -0.171 0.243
-0.613 0.151 -0.241
-0.199 0.468 -0.539
-0.555 -0.049 -0.288
0.865 0.169 -0.263
0.215 -0.046 -0.031
-0.981 -0.158 0.529
-0.284 -0.209 -0.191
0.488 0.302 0.055
0.240 -0.327 1.511
-0.994 -0.618 0.721
0.030 -0.687 -0.453
-0.073 0.387 0.213
0.436 -0.452 -0.651
0.720 1.099 -0.327
-0.359 0.248 -0.151
0.033 -0.238 0.168
-0.062 -0.011 -0.006
-0.005 0.337 -0.366
0.076 0.025 -0.019
-0.392 0.139 0.448
0.427 0.144 -0.122
-0.035 0.020 -0.160
-0.389 -0.056 -0.606
0.010 0.256 -0.101
0.410 0.377 0.153
-0.049 0.098 0.267
-0.111 -0.314 0.066
0.322 0.636 -0.176
-0.422 -0.964 -0.492
0.235 -0.046 0.768
-0.071 0.611 0.193
-0.398 -0.108 0.505
-0.282 0.254 -0.297
0.153 -0.472 -0.019
0.219 -0.269 -0.369
0.630 0.073 0.047
0.728 -0.175 -0.021
-1.163 0.263 0.156

=====

This record from the Open Molecules 2025 dataset describes C13H15BrCaCl4IMgNO6P as an isolated structure in a non-equilibrium geometry. The level of theory is ωB97M-V with the def2-TZVPD basis set.

The frontier orbital gap comes out at 3.1 eV. As for the total energy: -188884.29371 eV. As for the net charge: +1.

Last column: natural (NBO) charge in e.
Positions of all 44 atoms, in Å:
O1 3.6955 -2.7480 1.6413  -0.55
C1 3.3188 -2.0307 0.6886  0.54
N1 4.0441 -0.9407 -0.0537  -0.74
C2 3.4474 -0.5580 -1.3774  0.59
O2 3.9833 0.0594 -2.3612  -0.80
C3 1.9189 -1.0471 -1.3411  -0.47
C4 0.6661 -0.7444 -2.2599  -0.20
I1 0.8080 0.5812 -3.9534  0.28
C5 -0.7057 -1.3963 -1.9038  -0.30
C6 -0.7592 -2.3244 -0.5981  0.10
C7 -2.2335 -2.9271 -0.2462  -0.80
P1 -3.2017 -1.4966 0.6378  2.23
O3 -2.2990 -0.2311 0.6577  -1.08
O4 -3.5330 -1.8661 2.2480  -0.95
O5 -4.5773 -1.0412 -0.2613  -0.92
C8 0.4902 -2.6394 0.3450  -0.16
C9 1.8848 -1.9798 -0.0337  -0.53
H1 4.1285 -0.0538 0.4851  0.47
H2 -1.6942 -1.2076 -2.5340  0.29
H3 -2.0194 -3.7993 0.4693  0.28
H4 -2.7873 -3.2573 -1.1891  0.30
H5 -3.3091 -1.0605 2.7693  0.54
H6 -4.4063 -1.4144 -1.1655  0.51
H7 0.3698 -3.3075 1.2509  0.28
Ca1 2.9100 -3.2887 -1.4824  1.79
Br1 -2.1041 -1.3833 -4.3222  -0.71
Cl1 -0.3146 -0.7136 0.6812  0.23
Mg1 3.4339 2.0149 -3.6088  1.26
C10 -5.4942 2.4825 -0.7164  -0.28
-- stop --

• Done:
This record from the Open Molecules 2025 dataset describes C13H15BCuF4N7PS as an isolated structure in a non-equilibrium geometry. The level of theory is ωB97M-V with the def2-TZVPD basis set.

The frontier orbital gap comes out at 6.9 eV. As for the total energy: -100474.34359 eV. As for the net charge: -1.

Last column: natural (NBO) charge in e.
Positions of all 43 atoms, in Å:
Cu1 1.4360 -0.6803 -1.6006  0.92
C1 -3.0744 2.0677 -0.4692  -0.41
N1 -1.7527 1.9952 -1.0316  -0.33
C2 -1.4036 2.4364 -2.2771  -0.08
C3 -0.1182 1.9889 -2.5185  -0.06
N2 0.3211 1.2630 -1.4344  -0.51
C4 -0.6780 1.2628 -0.5647  0.06
P1 -0.7367 0.4003 1.0111  0.73
C5 0.9256 0.6139 1.5834  0.03
N3 2.0550 0.3875 0.9524  -0.41
C6 3.0530 0.7824 1.7986  -0.07
C7 2.5024 1.2588 2.9729  -0.11
N4 1.1343 1.1303 2.8150  -0.34
C8 0.0519 1.5916 3.6441  -0.40
C9 -0.6432 -1.3090 0.4803  0.06
N5 0.2895 -1.8994 -0.2119  -0.51
C10 -0.1309 -3.2021 -0.3925  -0.06
C11 -1.3247 -3.3771 0.2630  -0.08
N6 -1.6499 -2.2025 0.8421  -0.34
C12 -2.9701 -1.8090 1.2925  -0.42
H1 -3.4316 3.1038 -0.5111  0.20
H2 -3.7350 1.4218 -1.0496  0.23
H3 -3.0543 1.6908 0.5647  0.22
H4 -2.1068 2.9757 -2.8892  0.22
H5 0.5040 2.0626 -3.4135  0.23
H6 4.0746 0.6074 1.5475  0.23
H7 2.9323 1.6059 3.9014  0.21
H8 0.4519 1.7468 4.6700  0.21
H9 -0.3845 2.5148 3.2834  0.20
H10 -0.7443 0.8286 3.6703  0.22
H11 0.4110 -3.8869 -1.0319  0.23
H12 -1.9993 -4.2055 0.2805  0.21
H13 -3.4483 -2.6557 1.8278  0.21
H14 -2.8447 -0.9023 1.9399  0.22
H15 -3.5642 -1.5628 0.3771  0.24
F1 4.7679 -1.9769 -3.2734  -0.57
B1 4.8955 -0.8787 -2.4034  1.37
F2 5.9248 -1.1407 -1.4752  -0.58
F3 5.0774 0.3442 -3.0633  -0.57
F4 3.6410 -0.7240 -1.6256  -0.62
S1 -3.0445 -1.1476 -2.6088  -0.45
C13 -1.3880 -1.2218 -2.8664  0.12
N7 -0.2216 -1.2988 -3.0058  -0.62

Atomic forces in eV per Å
0.000 0.031 0.015
-0.330 -0.048 0.189
1.175 -0.470 -0.158
0.596 -0.199 -0.200
-0.242 -0.171 0.243
-0.613 0.151 -0.241
-0.199 0.468 -0.539
-0.555 -0.049 -0.288
0.865 0.169 -0.263
0.215 -0.046 -0.031
-0.981 -0.158 0.529
-0.284 -0.209 -0.191
0.488 0.302 0.055
0.240 -0.327 1.511
-0.994 -0.618 0.721
0.030 -0.687 -0.453
-0.073 0.387 0.213
0.436 -0.452 -0.651
0.720 1.099 -0.327
-0.359 0.248 -0.151
0.033 -0.238 0.168